Today we have part one of a two part guest entry from Jessica Hanebutt Snell of Rockin’ B Design, LLC who writes of her experiences at the recent WESA market show. Jess is an F-I member as well as a DE specializing in vintage-inspired ladies western apparel with a keen interest in all aspects of the western lifestyle industry as well as the vintage fashion community.
Even if you’re not interested in the western or equestrian related products, this is a very educational snapshot on niche markets. As I’ve said repeatedly, the western market is much more sophisticated and upscale (very pricey!) than people realize. Lastly, many thanks to Jess for putting this together for us!
I had the pleasure of attending the January 2012 WESA market in Denver, Colorado last month. Held at the beginning of each year (somewhat obviously given the name), the January market is the larger of two annual WESA tradeshow events held at the Denver Merchandise Mart; the other WESA show is held in September in the same location. WESA stands for Western and English Sales Association, which consists of sales reps and manufacturers who specialize in western and equestrian lifestyle products. Anyone wanting to exhibit at a WESA market needs to be a member – this can be done by visiting their website and registering as a new user, then filling out the appropriate application. There are annual membership dues as well as applicable booth and show fees depending on your needs for the show (booth space vs. a permanent showroom, etc.) Exhibition space is allotted based on seniority points, which are earned via event attendance.
I had not attended a WESA market before this one, though I’ve been aware of this particular tradeshow since I started my own western wear line a few years ago. 2012 marks WESA’s 90th! year, which is pretty impressive. The January show is very large and is considered to be the main buying event of the year for western/equestrian buyers from the US and beyond. As I walked around the first day, I ran into a lot of buyers from stores in Germany, Japan, Australia, Belgium, Mexico, Colombia and more. Kathleen has stated in previous tradeshow posts that anything with Southwestern flair does well in places like Germany and Japan – it’s the truth! Western lifestyle is also very big in Australia, with many new brands popping up that are based there.
These materials data were left in the piece by mistake >
Record 1
Simulated PXRD pattern of NaTmPd6O8 for λ = 1.5418 Å (Cu Kα), from a crystal structure in OQMD, relaxed with GGA-PBE.

The 6 most intense peaks (2θ from 15° to 90°), sorted by position:
2theta	I (rel.)	(hkl)
15.36	21	1 0 0
34.78	100	2 1 0
38.23	62	2 1 1
57.63	24	3 0 2
60.02	33	3 1 2
75.55	20	4 2 1

```
data_NaTmPd6O8
_space_group_name_H-M_alt 'P m -3'
_space_group_IT_number 200
_space_group_name_Hall '-P 2 2 3'
_cell_length_a 5.767
_cell_length_b 5.767
_cell_length_c 5.767
_cell_angle_alpha 90.00
_cell_angle_beta 90.00
_cell_angle_gamma 90.00
loop_
_atom_site_label
_atom_site_fract_x
_atom_site_fract_y
_atom_site_fract_z
Na1 0.000 0.000 0.000
Tm1 0.500 0.500 0.500
Pd1 0.000 0.500 0.250
O1 0.261 0.261 0.261
```

---

Record 2
Simulated PXRD pattern of GdDyMg3Fe2 for λ = 1.5418 Å (Cu Kα), from a crystal structure in OQMD, relaxed with GGA-PBE.

The 6 most intense peaks (2θ from 15° to 90°), sorted by position:
2theta	I (rel.)	(hkl)
26.07	47	0 1 3
33.57	56	1 1 1
35.11	79	1 0 6
35.72	100	1 1 3
39.70	53	1 1 5
59.56	34	1 2 6

```
data_GdDyMg3Fe2
_space_group_name_H-M_alt 'A m m 2'
_space_group_IT_number 38
_space_group_name_Hall 'A 2 -2'
_cell_length_a 3.711
_cell_length_b 3.907
_cell_length_c 21.149
_cell_angle_alpha 90.00
_cell_angle_beta 90.00
_cell_angle_gamma 90.00
loop_
_atom_site_label
_atom_site_fract_x
_atom_site_fract_y
_atom_site_fract_z
Gd1 0.000 0.000 0.000
Dy1 0.000 0.000 0.653
Mg1 0.000 0.000 0.827
Mg2 0.500 0.000 0.247
Mg3 0.500 0.000 0.406
Fe1 0.500 0.000 0.108
Fe2 0.500 0.000 0.547
```

---

Record 3
Simulated PXRD pattern of KTbSiS4 for λ = 1.5418 Å (Cu Kα), from a crystal structure in OQMD, relaxed with GGA-PBE.

The 6 most intense peaks (2θ from 15° to 90°), sorted by position:
2theta	I (rel.)	(hkl)
19.73	100	1 1 0
26.93	56	0 2 0
30.62	67	2 0 -2
32.52	83	1 1 2
33.53	57	2 1 -2
40.09	56	2 2 0

```
data_KTbSiS4
_space_group_name_H-M_alt 'P 1 21 1'
_space_group_IT_number 4
_space_group_name_Hall 'P 2yb'
_cell_length_a 6.433
_cell_length_b 6.622
_cell_length_c 8.670
_cell_angle_alpha 90.00
_cell_angle_beta 107.64
_cell_angle_gamma 90.00
loop_
_atom_site_label
_atom_site_fract_x
_atom_site_fract_y
_atom_site_fract_z
K1 0.231 0.000 0.435
Tb1 0.270 0.019 0.950
Si1 0.279 0.482 0.175
S1 0.080 0.426 0.933
S2 0.083 0.484 0.331
S3 0.476 0.748 0.201
S4 0.479 0.750 0.778
```

---

Record 4
Simulated PXRD pattern of Cu3Ag4 for λ = 1.5418 Å (Cu Kα), from a crystal structure in OQMD, relaxed with GGA-PBE.

The 6 most intense peaks (2θ from 15° to 90°), sorted by position:
2theta	I (rel.)	(hkl)
39.60	100	1 0 7
44.87	38	1 1 0
48.32	10	0 0 14
65.34	12	2 0 0
68.06	13	1 1 14
79.17	24	2 1 7

```
data_Cu3Ag4
_space_group_name_H-M_alt 'I 4 m m'
_space_group_IT_number 107
_space_group_name_Hall 'I 4 -2'
_cell_length_a 2.857
_cell_length_b 2.857
_cell_length_c 26.369
_cell_angle_alpha 90.00
_cell_angle_beta 90.00
_cell_angle_gamma 90.00
loop_
_atom_site_label
_atom_site_fract_x
_atom_site_fract_y
_atom_site_fract_z
Cu1 0.000 0.000 0.000
First and foremost I owe a huge thanks to F-I member D. for putting up with me throughout the weekend, answering questions I had about the market/showrooms, and for introducing me to a lot of people. His company has a permanent showroom at the mart center, and it was great seeing how things work from the inside out. WESA takes up the entire mart complex (pavilion and expo space included) for the duration of each show, but the actual mart building is where all permanent showrooms are located year round. Western lifestyle companies (apparel and interior goods) hold most of the permanent showrooms, though there are a few random manufacturers that cater to a more mass market audience – very few overall. The big players have massive multi-room showrooms, brands like Wrangler, Lucchese, Scully, etc. There are also showrooms run by independent reps who show several lines, but not as many as I expected. However, there are a variety of showroom sizes available, and it was interesting to see a lot of smaller companies and DEs with their own (sometimes teensy) spaces. Speaking with a few people, it seems that the smallest showroom leases are somewhat comparable with temporary booth space during WESA after all expenses and membership fees are added up. This pricing structure is somewhat hidden unless you can get people to tell you about their lease details, or you show up at the Mart ready to sign a showroom contract. This brings me to another point: in the western market, it seems that quite a few owners and designers rep their own brands, it’s a small world and everyone knows everyone. Definitely a lesson that has been covered many times on this blog but was even more apparent at WESA: don’t burn bridges, don’t do dumb things, everyone talks to each other and everyone knows who said/did what. Not much escapes attention!
Temporary booth space is interesting, and is something I have thought about for my own line over the past few years. After walking through the entirety of the temporary exhibition space, it was pointed out to me that the choice spots are awarded based on seniority within WESA. The edges and corners of each room were home to younger brands and designers, many just starting out or only a few years old; very established manufacturers and reps had booths in prominent locations for buyer walk-through. Yes, this is how the world works, but unfortunately in my opinion most of the senior brands/reps had stale product that looked just like the stuff in the next booth. The fun stuff was on the outskirts for the most part, but I wonder how many buyers actually make it that far. The pricing structure for WESA isn’t outrageous, it’s very much on par with other tradeshows that have been discussed on the blog and in the forum, if not lower. The only sticking point for a lot of exhibitors I spoke with is the fact that they are required to purchase a booth for the slow September show if they want to have a booth at the big January show. Most people see this as a complete waste of time and money– a few manufacturers told me they purchase the booth space but don’t even bother showing up due to travel costs and time restraints. A disclaimer on this: WESA states on their website that “A seniority point is earned by being physically present at a Market.” Therefore I’m not sure how some of these exhibitors are getting the benefits out of simply purchasing the space but not being present, as seniority points are awarded to individual members (there are no company memberships).
After a few days of speaking with exhibitors in both showrooms and booths, it seems that this year’s January market was much better in terms of attendance than it has been for many years. Most see this as an encouraging trend, and a lot of manufacturers were citing economic recovery as the reason that more buyers were walking the halls. I did hear from one buyer that this is the first time in several years they’ve had the budget to travel out for this show. Shutting down the store in order to take a buying trip is a major issue for a lot of western retailers, because many of these stores are small, family-owned businesses – which means they simply don’t have enough people to keep the store open when they need to leave town. Yet another reason that road reps are golden in this segment of the market – several retailers commented that road reps are their only way of keeping on top of new product. One gentleman from Tennessee told me that he also appreciates being able to order directly from manufacturers via the web, simply because he doesn’t have to leave his store or wait to see new product from a rep.
A few more key points about this show:
- The January market features a professionally produced fashion show that exhibitors can pay to be included in – the fees are around a few hundred dollars, depending on how many looks you plan to show. The fashion show is VERY popular, and is (apparently) run several times over the course of the market. This seems like it would be great exposure for brands that have more fashion-oriented apparel, anything that would stand out on a runway. The fashion show is also central to the annual “Opening Night” dinner gala (Friday night), which always sells out.
- It is a very social tradeshow; again I want to stress that everyone seems to know everyone else. You need to bring your best communication and networking skills with you. The attendees are a mix of major western lifestyle publications, trade professionals, suppliers, buyers, manufacturers and bloggers… a really great opportunity to meet key people in the western segment of the garment industry.
Most of the lines shown are fairly high end – everything from $30,000 saddles to $1,000 hats and $7,000 boots. There are a few lines of lower-priced goods in the mix, but this show is a prime example of why walking a tradeshow before exhibiting is important. The few tee shirt lines I saw here were somewhat out of place compared to most of the lines. However, I think there is room for this sort of apparel within the western market, as a lot of smaller retailers cater to 4-H families and livestock exhibitors, most of whom would probably be more willing to buy a cute tee shirt or $150 boots vs. $7000 boots. Merchandise mix is also very dependent on geographic location – the Midwest has more of a 4-H and livestock culture, while most of Texas is known for it’s high end western lifestyle. This was demonstrated handily by which buyers were writing orders in which booths/showrooms.
In part two of my WESA show report, I’ll be focusing on a few of the DEs who were exhibiting at the show.
wow 90 years! that is impressive! i love western vintage style, I would of gone just to see that. The leather workman ship is another thing I would of loved to see.
Thanks for sharing Jess. Very informative. It is interesting to read about the views reg. road reps and also the fact that some stores chose to order new products through an established lines web site.
It looks like an interesting show for you. I am sure a lot of Texans go there too :)
Your post is so helpful. Thanks for taking the time to report to us. I look forward to part two.
This was interesting. Looking forward to part 2. Is there going to be a report on the low fabric minimums wholesale show in NY?
Jess is in the process of moving so I don’t know when part two will be up. Lucky for me, she will be passing through Albuquerque on her move and will stay the night. I suppose I could just not feed her or give her any coffee till she coughs up part two. Seriously, she’s burning it at both ends lately.
Ditto for the trip report on the fabric show in NY. Jay sent me a short rundown, maybe he meant for me to publish it? I don’t know but will follow up with him. I did get some pictures from Marguerite but I didn’t get any copy (or names) to go with them.
Well, denying me coffee would certainly get me motivated to produce! I’ll try to wait patiently for the reports. :)